Alignment and Harmonization of Health Research
Welcome to the Alignment & Harmonisation (AHA) of health research area – a source of information on alignment and harmonisation of health research in low income countries.
There is inadequate funding for health research in low income countries. The leadership and investments of countries in health research relevant to their needs is limited. Health research support provided by funders often does not meet countries’ health and health research priorities.
• Someone pasted molecular data at this point:
┌──
[1]
Entry from the Open Molecules 2025 dataset: a molecular structure, C2H8NO2S at a distorted geometry (ωB97M-V/def2-TZVPD).

XYZ file:
```
14
Properties=species:S:1:pos:R:3:lowdin_charge:R:1
C 1.180 -1.393 1.266 0.04
C -0.835 -0.941 -0.726 -0.40
N 1.816 -0.546 1.951 0.19
O -1.671 -0.376 -1.507 0.04
O -0.141 -0.321 0.054 0.00
S -1.716 2.531 -1.174 0.68
H 1.660 -1.620 0.388 0.11
H 0.611 -2.060 1.749 0.10
H -0.602 -2.108 -0.946 0.20
H 2.487 0.095 1.557 0.16
H -1.438 2.525 -2.501 -0.12
H 1.505 -0.497 2.893 0.14
H -1.693 0.708 -1.315 -0.03
H -2.850 3.185 -1.520 -0.13
```

Properties
Kohn-Sham gap	10.31	eV
energy relative to the best compared isomer or geometry (same formula, charge and spin)	26.7	kcal/mol
F_max	0.0707	hartree/bohr
net charge	+1

---

[2]
Entry from the Open Molecules 2025 dataset: 3 unconnected molecules or ions with the total composition C16H39IPS2 (ωB97M-V/def2-TZVPD).

XYZ file:
```
59
Properties=species:S:1:pos:R:3:lowdin_charge:R:1
C -1.592 3.416 3.932 -0.03
C -2.268 2.235 3.201 -0.46
C -3.260 1.450 4.077 -0.05
C -1.191 1.304 2.626 -0.48
S -1.882 0.437 1.170 0.33
I -0.168 -1.042 0.474 0.71
P -1.850 2.086 -0.364 0.13
S -3.537 2.897 -0.614 0.28
H -1.884 4.372 3.503 0.09
H -0.503 3.359 3.894 0.07
H -1.873 3.431 4.984 0.08
H -2.835 2.655 2.365 0.08
H -4.282 1.796 3.930 0.09
H -3.021 1.567 5.134 0.09
H -3.252 0.380 3.861 0.07
H -0.281 1.815 2.314 0.04
H -0.928 0.498 3.312 0.10
H -0.787 2.803 0.207 -0.03
H -1.251 1.311 -1.369 -0.04
C -2.816 -3.870 -1.045 -0.13
C -2.332 -5.051 -1.877 -0.26
C -0.829 -5.008 -2.156 -0.22
C -0.348 -3.764 -2.906 -0.24
C -1.038 -3.515 -4.247 -0.27
C -0.844 -4.648 -5.247 -0.10
H -2.664 -2.925 -1.573 0.05
H -3.878 -3.945 -0.810 0.07
H -2.269 -3.820 -0.098 0.05
H -2.888 -5.086 -2.817 0.10
H -2.563 -5.983 -1.356 0.11
H -0.545 -5.903 -2.714 0.11
H -0.292 -5.070 -1.203 0.11
H 0.730 -3.855 -3.073 0.11
H -0.482 -2.879 -2.271 0.05
H -0.647 -2.587 -4.673 0.10
H -2.107 -3.346 -4.088 0.10
H 0.217 -4.829 -5.431 0.08
H -1.313 -4.414 -6.203 0.07
H -1.281 -5.581 -4.889 0.07
C 4.364 3.511 -1.258 -0.10
C 4.474 2.277 -0.370 -0.26
C 3.143 1.553 -0.164 -0.23
C 2.059 2.402 0.500 -0.26
C 2.427 2.981 1.866 -0.26
C 2.779 1.921 2.903 -0.09
H 3.719 4.274 -0.819 0.07
H 5.341 3.967 -1.416 0.08
H 3.957 3.252 -2.238 0.08
H 4.897 2.557 0.599 0.10
H 5.182 1.573 -0.812 0.11
H 3.315 0.650 0.429 0.10
H 2.771 1.213 -1.137 0.11
H 1.168 1.768 0.621 0.02
H 1.768 3.218 -0.169 0.10
H 1.592 3.592 2.228 0.09
H 3.264 3.674 1.755 0.11
H 1.960 1.207 3.042 0.06
H 2.993 2.371 3.873 0.08
H 3.658 1.348 2.608 0.07
```

Properties
Kohn-Sham gap	7.77	eV
F_max	0.0036	hartree/bohr
net charge	+1

---

[3]
Entry from the Open Molecules 2025 dataset: 5 unconnected molecules or ions with the total composition C20H25F15O10 at a distorted geometry (ωB97M-V/def2-TZVPD).

XYZ file:
```
70
Properties=species:S:1:pos:R:3:lowdin_charge:R:1
C -0.586 -0.658 1.296 -0.02
C 0.785 -0.089 0.775 -0.21
O 1.678 0.138 1.799 0.03
C 3.004 0.180 1.535 -0.33
O 3.577 -0.101 0.484 0.14
└──
• So much for the molecular data:
Recent years have seen a number of debates on Donor Alignment and Harmonisation (AHA) of health research for low income countries. These are bringining a better understanding of how the Paris Declaration on Aid Effectiveness applies to health research. This is the goal of the “AHA" initiative.
This page provides a platform for the exchange of useful information and experiences to focus health research more sharply on countries’ needs – particularly to allow voices from the South to enter the debate.
We encourage all partners in health research for development to participate in the dialogue to improve health research support for low income countries.
The AHA Initiative
A process to engage low income countries and donors in dialogue on more effective funding of health research.
The ‘AHA’ initiative – for alignment and harmonisation – looks at health research funding from the perspective of low income countries. It aims to provide analysis of health research spending in countries, as a basis for donors and their partner countries to develop shared health research agendas.
AHA and its studies are the first to address these questions:
- Is health research funding provided in a way that is most appropriate for countries’ needs?
- Moving from ‘donorship’ to ‘ownership’ – how can low income countries set the agenda for their health research funding?
- How does the Paris Declaration on Aid Effectiveness apply to health research funding?
- What are the responsibilities of donor and partner countries in making health research funding more effective?
The AHA Study
New analysis of donor activities and country needs for health research
The starting point in this process is the AHA study, funded by Sweden’s development cooperation agency, Sida / SAREC. A further study supported by The Netherlands and done in partnership with Tanzania’s National Institute for Medical Research, looked at the situation in Tanzania.
The AHA study analysed health research funding in five African countries by eight donors, to determine the extent of alignment and harmonisation, or the lack of it.
It examined health research funding in countries for the perspective of:
- Who funds health research in the country?
- Who benefits the most from health research funding – the northern or southern partner?
- Trends and evolution for health research funding, by country.
+++
[1]
DFT (the ωB97M-V functional and the def2-TZVPD basis) results for a structure of composition C42H42LiN2O5S2.

**Gap between HOMO and LUMO**: 0.3000 Eh
**E_HOMO**: -0.38118 Eh
**Energy above the lowest of the compared OMol25 structures with the same formula, charge and spin**: 4.9 kcal per mole
**Max |F|**: 0.85 eV/Å

```
! wB97M-V def2-TZVPD RIJCOSX def2/J DEFGRID3
* xyz 1 1
Li 1.02 -0.42 1.75
C 5.61 -0.36 1.60
N 4.82 -0.70 2.78
C 5.47 -1.29 3.94
C 3.49 -0.50 2.73
O 2.91 -0.06 1.74
C 2.69 -0.85 3.98
O 1.36 -0.54 3.64
C 0.34 -0.91 4.52
C -0.94 -0.77 3.71
O -0.86 -0.51 2.51
N -2.11 -0.91 4.35
C -3.36 -0.74 3.61
C -2.24 -1.25 5.76
H 5.70 -1.22 0.93
H 6.61 -0.04 1.91
H 5.13 0.45 1.06
H 6.52 -1.47 3.69
H 5.03 -2.25 4.20
H 5.44 -0.63 4.80
H 3.04 -0.26 4.83
H 2.80 -1.92 4.21
H 0.32 -0.26 5.40
H 0.46 -1.95 4.85
H -3.20 -0.07 2.77
H -4.10 -0.31 4.28
H -3.72 -1.69 3.24
H -1.29 -1.54 6.19
H -2.94 -2.08 5.86
H -2.64 -0.40 6.32
C -4.68 5.00 0.87
C -3.44 4.15 0.74
C -2.61 4.25 -0.37
C -1.47 3.48 -0.49
C -1.15 2.58 0.52
C -1.95 2.49 1.65
C -3.09 3.27 1.76
S 0.36 1.61 0.55
O 1.45 2.54 0.90
C 0.51 1.27 -1.22
C 1.46 2.06 -1.91
C 1.68 1.86 -3.24
C 0.95 0.88 -3.95
C 1.13 0.69 -5.34
C 0.39 -0.23 -6.02
C -0.57 -1.02 -5.34
C -0.74 -0.87 -3.99
C 0.02 0.07 -3.26
C -0.17 0.26 -1.85
C -1.22 -0.55 -1.15
C -2.57 -0.05 -1.23
C -2.89 1.11 -1.98
C -4.18 1.55 -2.08
C -5.22 0.87 -1.41
C -4.95 -0.24 -0.68
C -3.63 -0.74 -0.59
C -3.35 -1.96 0.08
C -2.09 -2.45 0.09
C -1.01 -1.75 -0.51
S 0.51 -2.68 -0.17
O 1.18 -2.02 1.00
C 1.62 -2.38 -1.53
C 2.64 -1.46 -1.40
C 3.57 -1.34 -2.42
C 3.51 -2.15 -3.55
C 4.51 -2.02 -4.66
C 2.48 -3.09 -3.64
C 1.54 -3.22 -2.63
H -4.72 5.76 0.10
H -4.71 5.49 1.84
H -5.58 4.38 0.79
H -2.86 4.96 -1.15
H -0.83 3.58 -1.36
H -1.66 1.81 2.45
H -3.71 3.20 2.65
H 1.99 2.82 -1.34
H 2.40 2.48 -3.77
H 1.86 1.30 -5.86
H 0.52 -0.37 -7.09
H -1.16 -1.74 -5.89
H -1.48 -1.47 -3.47
H -2.10 1.64 -2.50
H -4.40 2.42 -2.68
H -6.24 1.23 -1.50
H -5.74 -0.78 -0.17
H -4.17 -2.50 0.54
H -1.87 -3.40 0.58
H 2.71 -0.85 -0.50
H 4.37 -0.61 -2.32
H 5.39 -1.45 -4.34
H 4.07 -1.51 -5.51
H 4.84 -3.00 -5.01
H 2.43 -3.75 -4.50
H 0.75 -3.96 -2.70
*
```



[2]
DFT (the ωB97M-V functional and the def2-TZVPD basis) results for a cluster of 2 separate species, C4H13N2S in total.

**Gap between HOMO and LUMO**: 0.3188 Eh
**E_HOMO**: -0.44212 Eh
**Energy above the lowest of the compared OMol25 structures with the same formula, charge and spin**: 17.9 kcal per mole
**Max |F|**: 1.75 eV/Å

```
! wB97M-V def2-TZVPD RIJCOSX def2/J DEFGRID3
* xyz 1 1
C 2.13 -1.94 0.76
S 0.37 -2.04 1.20
C 0.20 -0.35 1.90
H 2.61 -1.08 1.32
H 2.29 -1.77 -0.34
H 2.69 -2.83 1.07
H -0.87 -0.11 2.10
H 0.80 -0.31 2.82
H 0.55 0.42 1.19
C 0.56 0.84 -1.79
N -2.77 1.04 -0.22
C -1.62 0.59 -0.64
N -0.86 1.15 -1.53
H 0.66 0.57 -2.88
H 0.88 0.01 -1.17
H 1.21 1.68 -1.61
H -3.12 1.85 -0.68
H -3.17 0.62 0.60
H -1.34 -0.29 -0.10
H -1.21 1.95 -2.03
*
```



[3]
+++
The records of molecules stop here:
What is alignment and harmonisation and why is it important to health research?
........
# 1
{
  "formula": "C4H12NO2",
  "method": "ωB97M-V/def2-TZVPD",
  "e_lumo_ha": -0.1253,
  "largest_force_ha_per_bohr": 0.044,
  "total_energy_ev": -9920.6019,
  "e_homo_ev": -14.499,
  "charge": 1,
  "orbital_gap_ev": 11.09,
  "species": ["O", "C", "C", "N", "C", "C", "H", "H", "H", "H", "H", "H", "H", "H", "H", "H", "H", "H", "O"],
  "positions_angstrom": [[2.1484, -1.5199, -0.8174], [2.1300, -0.5882, -0.0580], [0.9617, 0.3518, 0.0823], [-0.3051, -0.2910, -0.4936], [-0.3214, -0.5462, -1.9642], [0.7606, 0.5869, 1.5687], [2.9332, -0.4631, 0.6780], [0.9941, 1.2046, -0.6015], [-1.1646, 0.2524, -0.3467], [-0.4590, -1.2004, -0.0604], [0.3676, -1.3740, -2.1387], [-1.2836, -0.9336, -2.2953], [0.0229, 0.2340, -2.6332], [0.8119, -0.3531, 2.1347], [1.6303, 1.1084, 1.9645], [-0.1886, 1.0494, 1.8154], [-2.8756, 1.4031, 1.5439], [-3.5015, 0.4619, 0.5683], [-2.6613, 0.6168, 1.0532]],
  "atomic_forces_ev_per_a": [[-0.04, 0.22, 0.18], [0.25, -0.98, -0.46], [-1.71, -0.10, -0.38], [-0.24, -0.31, -0.94], [0.89, -1.83, -1.02], [0.35, -0.20, 0.29], [0.20, 0.37, 0.01], [0.78, 0.47, 0.69], [0.35, 0.31, 1.10], [-0.04, -0.02, 0.25], [-0.03, 0.18, 0.00], [-0.26, 0.44, 0.35], [-0.16, 0.69, 0.58], [-0.24, -0.15, -0.39], [-0.24, 0.56, -0.05], [0.15, 0.36, -0.02], [0.07, 0.64, 0.55], [0.67, -0.11, 0.40], [-0.74, -0.55, -1.14]],
  "lowdin_charge": [0.1017, -0.1856, -0.2465, 0.0388, -0.0019, -0.0228, 0.1463, 0.1682, 0.1320, 0.1823, 0.0899, 0.1098, 0.1120, 0.1093, 0.1026, 0.0777, 0.0520, 0.0826, -0.0486]
}

# 2
{
  "formula": "C4H12NO2P",
  "method": "ωB97M-V/def2-TZVPD",
  "e_lumo_ha": [-0.0136, 0.0035],
  "largest_force_ha_per_bohr": 0.089,
  "total_energy_ev": -19212.4026,
  "e_homo_ev": [-9.157, -7.738],
  "orbital_gap_ev": [8.79, 7.83],
  "species": ["C", "C", "C", "C", "N", "O", "O", "P", "H", "H", "H", "H", "H", "H", "H", "H", "H", "H", "H", "H"],
  "positions_angstrom": [[0.2652, -1.2375, 2.0486], [0.0983, 2.1810, -0.7978], [0.4258, 0.0502, 1.2674], [1.0294, 1.2211, -1.4704], [-2.0835, -1.0650, -0.5647], [1.5513, -1.4837, -0.7496], [-2.0852, -2.3379, -1.1601], [0.6071, -0.3934, -0.5839], [-0.3125, -1.0856, 3.0009], [-0.2662, -1.8508, 1.3525], [1.2361, -1.7331, 2.2233], [-0.8681, 1.8791, -1.0899], [0.0578, 2.1506, 0.3029], [0.4858, 3.1758, -1.1583], [1.3023, 0.5475, 1.5750], [-0.3555, 0.7456, 1.4594], [2.1291, 1.2995, -1.2178], [0.9319, 1.2564, -2.6393], [-2.2925, -0.4237, -1.3126], [-1.8567, -2.8961, -0.4855]],
  "atomic_forces_ev_per_a": [[0.06, 0.06, 0.46], [1.68, 1.96, 0.09], [0.23, -0.65, -0.99], [1.16, -1.88, -0.61], [1.41, -1.16, 0.62], [1.23, -1.77, -0.41], [-1.10, 3.52, -2.72], [-1.92, 2.06, 0.82], [0.63, -0.28, -0.95], [-0.74, -1.05, 0.23], [-0.49, 0.31, 0.10], [-1.47, 0.51, -0.69], [0.61, 0.26, -0.67], [-1.37, -0.52, 0.57], [1.41, 0.78, 0.18], [-0.96, 0.19, -0.07], [-1.09, 0.32, -0.26], [0.06, -0.44, 2.34], [-0.24, -0.01, -0.86], [0.89, -2.21, 2.83]],
........
Health research harmonisation is the extent to which donors’ health research activities are coordinated with each other to be most effective for developing countries. Alignment measures how closely donors’ programmes match the health and health research priorities defined by countries.
Alignment and harmonisation are crucial to ensuring more effective health research funding that meets developing countries’ needs. From a health research perspective, the Paris Declaration on Aid Effectiveness gives partner countries a unique voice to call for health research programmes to be focused on their populations’ specific needs.
‘AHA’: Better evidence for decisions on donor support of health research
There has been much discussion in global health circles of how health research investments can be better focused on the needs of recipient countries, but little data is available on the strategies and impact in the health research domain. The AHA initiative hopes to improve our understanding of the potentials and limitations of ‘harmonising’ and ‘aligning’ the external support by donors, development agencies and research sponsoring institutions. This is the first attempt to quantify the alignment and harmonisation aspects of health research in a number of low income countries. It is also a first step toward having real evidence as a basis for donors and their partner countries to develop shared health research agendas.
To share the results of the AHA study and discuss possible implications, COHRED, jointly with Sida / SAREC, convened a special consultation with representatives from the eight donor countries, two research sponsoring organisations (National Institutes of Health and Wellcome Trust) and the five African countries (both from government, research institutions and NGOs).
The ‘AHA initiative’ builds on the AHA study to continue to create better understanding of the application of alignment and harmonisation in the field of health research and a platform for ongoing debate, for collection of evidence, and – where possible – for defining best practice.
Countries and donors discuss better coordination of health research funding
The AHA special consultation in Beijing in October 2007 was convened by COHRED. Consultation participants included senior representatives of donor agencies and health research policy makers from five African countries, who discussed this topic for the first time:
- Ministry of Health and University of Ouagadougou in Burkina Faso;
- Ministry of Health and University of Youndé, in Cameroon;
- National Institute of Health and University Eduardo Mondlane in Mozambique;
- Ministry of Health, National Council of Science and Technology and Medical School in Uganda;
- Ministry of Health in Zambia; Canadian International Development Agency (CIDA)
- International Development Research Centre (IDRC) and the Canadian Coalition for Global Health Research;
- Irish Aid, Royal College of Surgeons in Ireland, and Irish Forum for Global Health, University of Galway;
- Netherlands Ministry of Foreign Affairs and Organisation for Health Research and Development (ZonMW);
- Norwegian Agency for Development Cooperation – NORAD;
- Department for Research Cooperation – SAREC, of Sweden;
- Swiss Agency for Development and Cooperation, SDC; and the UK Department of Health.